=====
Record 1
The following is a PBE+U calculation of crystalline VNiH14O8F4 at its relaxed geometry, from Materials Project.

M_tot in μB per cell: 12.1
Energy relative to the elements in kJ/mol of atoms: -156
Theoretical density in g/cm3: 2.2
Electronic total energy in eV/atom: -5.12

a = 6.508 Å, b = 11.170 Å, c = 14.087 Å
α = 89.26°, β = 89.04°, γ = 79.15°
Element x y z (fractional)
V1 0.006 0.263 0.234
V2 0.013 0.766 0.259
V3 0.987 0.234 0.741
V4 0.994 0.737 0.766
Ni1 0.500 0.000 0.000
Ni2 0.500 0.000 0.500
Ni3 0.500 0.500 0.000
Ni4 0.500 0.500 0.500
H1 0.022 0.029 0.322
H2 0.048 0.464 0.807
H3 0.098 0.091 0.063
H4 0.100 0.611 0.452
H5 0.103 0.111 0.951
H6 0.104 0.597 0.564
H7 0.116 0.124 0.446
H8 0.125 0.628 0.950
H9 0.168 0.683 0.052
H10 0.170 0.188 0.542
H11 0.180 0.891 0.634
H12 0.202 0.369 0.867
H13 0.238 0.362 0.045
H14 0.273 0.860 0.411
H15 0.304 0.871 0.882
H16 0.305 0.361 0.386
H17 0.320 0.860 0.122
H18 0.321 0.366 0.630
H19 0.386 0.035 0.684
H20 0.397 0.536 0.185
H21 0.417 0.275 0.989
H22 0.425 0.585 0.816
H23 0.427 0.777 0.482
H24 0.446 0.088 0.320
H25 0.447 0.625 0.335
H26 0.450 0.135 0.840
H27 0.456 0.655 0.647
H28 0.457 0.145 0.152
H29 0.543 0.855 0.848
H30 0.544 0.345 0.353
H31 0.550 0.865 0.160
H32 0.553 0.375 0.665
H33 0.554 0.912 0.680
H34 0.573 0.223 0.518
H35 0.575 0.415 0.184
H36 0.583 0.725 0.011
H37 0.603 0.464 0.815
H38 0.614 0.965 0.316
H39 0.679 0.634 0.370
H40 0.680 0.140 0.878
H41 0.695 0.639 0.614
H42 0.696 0.129 0.118
H43 0.727 0.140 0.589
H44 0.762 0.638 0.955
H45 0.798 0.631 0.133
H46 0.820 0.109 0.366
H47 0.830 0.812 0.458
H48 0.832 0.317 0.948
H49 0.875 0.372 0.050
H50 0.884 0.876 0.554
H51 0.896 0.403 0.436
H52 0.897 0.889 0.049
H53 0.900 0.389 0.548
H54 0.902 0.909 0.937
H55 0.952 0.536 0.193
H56 0.978 0.971 0.678
O1 0.035 0.887 0.654
O2 0.038 0.364 0.149
O3 0.122 0.875 0.306
O4 0.131 0.381 0.805
O5 0.185 0.071 0.004
O6 0.185 0.571 0.505
O7 0.212 0.614 0.008
O8 0.219 0.121 0.498
O9 0.328 0.356 0.987
O10 0.343 0.859 0.473
O11 0.443 0.964 0.643
O12 0.448 0.363 0.409
O13 0.448 0.871 0.904
O14 0.460 0.380 0.609
O15 0.462 0.869 0.103
O16 0.490 0.478 0.144
O17 0.510 0.522 0.856
O18 0.538 0.131 0.897
O19 0.540 0.620 0.391
O20 0.552 0.129 0.096
O21 0.552 0.637 0.591
O22 0.557 0.036 0.357
O23 0.657 0.141 0.527
O24 0.672 0.644 0.013
O25 0.781 0.879 0.502
O26 0.788 0.386 0.992
O27 0.815 0.429 0.495
O28 0.815 0.929 0.996
O29 0.869 0.619 0.195
O30 0.878 0.125 0.694
O31 0.962 0.636 0.851
O32 0.965 0.113 0.346
F1 0.061 0.349 0.347
F2 0.061 0.862 0.849
F3 0.077 0.802 0.125
F4 0.082 0.302 0.623
F5 0.257 0.634 0.258
F6 0.273 0.143 0.757
F7 0.290 0.168 0.242
F8 0.292 0.685 0.740
F9 0.708 0.315 0.260
F10 0.710 0.832 0.758
F11 0.727 0.857 0.243
F12 0.743 0.366 0.742
F13 0.918 0.698 0.377
F14 0.923 0.198 0.875
F15 0.939 0.138 0.151
F16 0.939 0.651 0.653

Record 2
The following is a PBE+U calculation of crystalline RbVH4O2F4 at its relaxed geometry, from Materials Project.

Energy relative to the elements in kJ/mol of atoms: -218
Theoretical density in g/cm3: 2.7
Electronic total energy in eV/atom: -5.28

a = 6.489 Å, b = 6.834 Å, c = 15.460 Å
α = 84.83°, β = 90.03°, γ = 118.35°
Element x y z (fractional)
Rb1 0.403 0.250 0.375
Rb2 0.903 0.250 0.875
Rb3 0.097 0.750 0.125
Rb4 0.597 0.750 0.625
V1 0.250 0.000 0.750
V2 0.000 0.500 0.500
V3 0.750 0.000 0.250
V4 0.500 0.500 0.000
H1 0.813 0.053 0.421
H2 0.313 0.053 0.921
H3 0.010 0.447 0.329
H4 0.509 0.447 0.829
H5 0.687 0.947 0.079
H6 0.187 0.947 0.579
H7 0.491 0.553 0.171
H8 0.990 0.553 0.671
H9 0.821 0.825 0.406
H10 0.320 0.825 0.907
H11 0.246 0.675 0.343
H12 0.745 0.675 0.844
H13 0.680 0.175 0.093
H14 0.179 0.175 0.593
H15 0.254 0.325 0.157
H16 0.754 0.325 0.657
O1 0.856 0.976 0.378
O2 0.356 0.976 0.878
O3 0.130 0.524 0.372
O4 0.630 0.524 0.872
O5 0.644 0.024 0.122
O6 0.144 0.024 0.622
O7 0.370 0.476 0.128
O8 0.870 0.476 0.628
F1 0.825 0.309 0.262
F2 0.324 0.308 0.762
F3 0.767 0.192 0.488
F4 0.266 0.191 0.989
F5 0.676 0.692 0.238
F6 0.176 0.692 0.738
=====

Your job: print the notes earlier on from the line with "0.860 0.411" to the end without altering anything.

H14 0.273 0.860 0.411
H15 0.304 0.871 0.882
H16 0.305 0.361 0.386
H17 0.320 0.860 0.122
H18 0.321 0.366 0.630
H19 0.386 0.035 0.684
H20 0.397 0.536 0.185
H21 0.417 0.275 0.989
H22 0.425 0.585 0.816
H23 0.427 0.777 0.482
H24 0.446 0.088 0.320
H25 0.447 0.625 0.335
H26 0.450 0.135 0.840
H27 0.456 0.655 0.647
H28 0.457 0.145 0.152
H29 0.543 0.855 0.848
H30 0.544 0.345 0.353
H31 0.550 0.865 0.160
H32 0.553 0.375 0.665
H33 0.554 0.912 0.680
H34 0.573 0.223 0.518
H35 0.575 0.415 0.184
H36 0.583 0.725 0.011
H37 0.603 0.464 0.815
H38 0.614 0.965 0.316
H39 0.679 0.634 0.370
H40 0.680 0.140 0.878
H41 0.695 0.639 0.614
H42 0.696 0.129 0.118
H43 0.727 0.140 0.589
H44 0.762 0.638 0.955
H45 0.798 0.631 0.133
H46 0.820 0.109 0.366
H47 0.830 0.812 0.458
H48 0.832 0.317 0.948
H49 0.875 0.372 0.050
H50 0.884 0.876 0.554
H51 0.896 0.403 0.436
H52 0.897 0.889 0.049
H53 0.900 0.389 0.548
H54 0.902 0.909 0.937
H55 0.952 0.536 0.193
H56 0.978 0.971 0.678
O1 0.035 0.887 0.654
O2 0.038 0.364 0.149
O3 0.122 0.875 0.306
O4 0.131 0.381 0.805
O5 0.185 0.071 0.004
O6 0.185 0.571 0.505
O7 0.212 0.614 0.008
O8 0.219 0.121 0.498
O9 0.328 0.356 0.987
O10 0.343 0.859 0.473
O11 0.443 0.964 0.643
O12 0.448 0.363 0.409
O13 0.448 0.871 0.904
O14 0.460 0.380 0.609
O15 0.462 0.869 0.103
O16 0.490 0.478 0.144
O17 0.510 0.522 0.856
O18 0.538 0.131 0.897
O19 0.540 0.620 0.391
O20 0.552 0.129 0.096
O21 0.552 0.637 0.591
O22 0.557 0.036 0.357
O23 0.657 0.141 0.527
O24 0.672 0.644 0.013
O25 0.781 0.879 0.502
O26 0.788 0.386 0.992
O27 0.815 0.429 0.495
O28 0.815 0.929 0.996
O29 0.869 0.619 0.195
O30 0.878 0.125 0.694
O31 0.962 0.636 0.851
O32 0.965 0.113 0.346
F1 0.061 0.349 0.347
F2 0.061 0.862 0.849
F3 0.077 0.802 0.125
F4 0.082 0.302 0.623
F5 0.257 0.634 0.258
F6 0.273 0.143 0.757
F7 0.290 0.168 0.242
F8 0.292 0.685 0.740
F9 0.708 0.315 0.260
F10 0.710 0.832 0.758
F11 0.727 0.857 0.243
F12 0.743 0.366 0.742
F13 0.918 0.698 0.377
F14 0.923 0.198 0.875
F15 0.939 0.138 0.151
F16 0.939 0.651 0.653

Record 2
The following is a PBE+U calculation of crystalline RbVH4O2F4 at its relaxed geometry, from Materials Project.

Energy relative to the elements in kJ/mol of atoms: -218
Theoretical density in g/cm3: 2.7
Electronic total energy in eV/atom: -5.28

a = 6.489 Å, b = 6.834 Å, c = 15.460 Å
α = 84.83°, β = 90.03°, γ = 118.35°
Element x y z (fractional)
Rb1 0.403 0.250 0.375
Rb2 0.903 0.250 0.875
Rb3 0.097 0.750 0.125
Rb4 0.597 0.750 0.625
V1 0.250 0.000 0.750
V2 0.000 0.500 0.500
V3 0.750 0.000 0.250
V4 0.500 0.500 0.000
H1 0.813 0.053 0.421
H2 0.313 0.053 0.921
H3 0.010 0.447 0.329
H4 0.509 0.447 0.829
H5 0.687 0.947 0.079
H6 0.187 0.947 0.579
H7 0.491 0.553 0.171
H8 0.990 0.553 0.671
H9 0.821 0.825 0.406
H10 0.320 0.825 0.907
H11 0.246 0.675 0.343
H12 0.745 0.675 0.844
H13 0.680 0.175 0.093
H14 0.179 0.175 0.593
H15 0.254 0.325 0.157
H16 0.754 0.325 0.657
O1 0.856 0.976 0.378
O2 0.356 0.976 0.878
O3 0.130 0.524 0.372
O4 0.630 0.524 0.872
O5 0.644 0.024 0.122
O6 0.144 0.024 0.622
O7 0.370 0.476 0.128
O8 0.870 0.476 0.628
F1 0.825 0.309 0.262
F2 0.324 0.308 0.762
F3 0.767 0.192 0.488
F4 0.266 0.191 0.989
F5 0.676 0.692 0.238
F6 0.176 0.692 0.738